Page 37 of His Sugar Baby
told me you preferred everything vanilla, which sounded like torture. I didn’t care. I wanted you any way I could get you.
[1]
VASP calculation (GGA-PBE) on an optimized crystal structure of PaTc2O4.

abc: 6.401 6.401 6.401
angles: 60.00 60.00 60.00
Fractional positions:
Pa  0.125  0.125  0.125
Pa  0.875  0.875  0.875
Tc  0.000  0.500  0.500
Tc  0.500  0.000  0.500
Tc  0.500  0.500  0.000
Tc  0.500  0.500  0.500
O  0.266  0.266  0.266
O  0.266  0.266  0.703
O  0.266  0.703  0.266
O  0.297  0.734  0.734
O  0.703  0.266  0.266
O  0.734  0.297  0.734
O  0.734  0.734  0.297
O  0.734  0.734  0.734

Properties
Electronic total energy   -57.41 eV per formula unit
Volume   13.2 A^3/atom
SG   No. 227

---

[2]
VASP calculation (GGA-PBE) on an optimized crystal structure of PaTeO3.

abc: 4.374 4.374 4.446
angles: 90.00 90.00 90.00
Fractional positions:
Pa  0.000  0.000  0.000
Te  0.500  0.500  0.500
O  0.000  0.000  0.500
O  0.000  0.500  0.005
O  0.500  0.000  0.005

Properties
Electronic total energy   -35.59 eV per formula unit
Volume   17.0 A^3/atom
SG   No. 99

---

[3]
VASP calculation (GGA-PBE) on an optimized crystal structure of PaTeO6.

abc: 4.545 4.545 5.027
angles: 95.15 95.15 106.70
Fractional positions:
Pa  0.000  0.000  0.000
Te  0.500  0.500  0.500
O  0.164  0.502  0.235
O  0.211  0.211  0.681
O  0.498  0.836  0.765
O  0.502  0.164  0.235
O  0.789  0.789  0.319
O  0.836  0.498  0.765

Properties
Electronic total energy   -53.93 eV per formula unit
Volume   12.3 A^3/atom
SG   No. 12

---

[4]
VASP calculation (GGA-PBE) on an optimized crystal structure of Pa2Te2O5.

abc: 4.247 4.247 8.892
angles: 90.00 90.00 90.00
Fractional positions:
Pa  0.000  0.000  0.247
Pa  0.000  0.000  0.753
Te  0.500  0.500  0.000
Te  0.500  0.500  0.500
O  0.000  0.000  0.500
O  0.000  0.500  0.292
O  0.000  0.500  0.708
O  0.500  0.000  0.292
O  0.500  0.000  0.708

Properties
Volume   17.8 A^3/atom
SG   No. 123
Distance to the lowest polymorph of the same formula   0.0000 eV/atom

---

[5]
VASP calculation (GGA-PBE) on an optimized crystal structure of PaTeO3.

abc: 7.224 7.224 7.224
angles: 48.73 48.73 48.73
Fractional positions:
Pa  0.163  0.163  0.163
Pa  0.837  0.837  0.837
Te  0.351  0.351  0.351
Te  0.649  0.649  0.649
O  0.063  0.446  0.813
O  0.187  0.937  0.554
O  0.446  0.813  0.063
O  0.554  0.187  0.937
O  0.813  0.063  0.446
O  0.937  0.554  0.187

Properties
Electronic total energy   -35.75 eV per formula unit
Volume   19.5 A^3/atom
SG   No. 148

---

[6]
VASP calculation (GGA-PBE) on an optimized crystal structure of PaTeO3.

abc: 6.075 9.946 5.795
angles: 90.00 90.00 90.00
Fractional positions:
Pa  0.000  0.000  0.000
Pa  0.000  0.500  0.000
Pa  0.500  0.000  0.500
Pa  0.500  0.500  0.500
Te  0.079  0.250  0.362
Te  0.421  0.750  0.862
Te  0.579  0.250  0.138
Te  0.921  0.750  0.638
O  0.104  0.750  0.996
O  0.222  0.053  0.759
O  0.222  0.447  0.759
O  0.278  0.553  0.259
O  0.278  0.947  0.259
O  0.396  0.250  0.496
O  0.604  0.750  0.504
O  0.722  0.053  0.741
O  0.722  0.447  0.741
O  0.778  0.553  0.241
O  0.778  0.947  0.241
O  0.896  0.250  0.004

Properties
“By the next day, even as I signed the contract I had drawn up, I knew nothing between us was going to be as cut and dry as a contract. Sweetheart, not only did I know that, I didn’t want us to be, not really. I tried, because you had signed the contract, too, and I wasn’t sure what you wanted.
“Then yesterday, there were we were standing in front of a masterpiece. I’m listening to you rant about what a pig Picasso was and how you think it’s the ugliest thing in the building. I remember I was supposed to have a conference call right around then. I didn’t even give it a second thought because I was standing exactly where I wanted to be, with you. That’s why I told you yesterday, from now on when you go out I will be with you. No one forces me to do anything I don’t want to do. I want to be with you.
“In the limo, when you told me about going out to the theater and the Cubs, I was upset because you had done them without me. I had missed out on your first Cubs game in Wrigley Park. I began to wonder how many other things I’d missed. Then I remembered you were only doing what we agreed to. I don’t want to hold to the agreement anymore.”
I stop talking as she looks at me, her eyes cloudy, I wonder if I’ve said too much. Hell, I have said too much because it takes a while before she says a word. When she does I want to strangle her, “Oh.”
That’s it, I had run my mouth like an idiot, and that’s all she has to say? “Oh.” I mimic her, fighting to keep my tone light. “Did I read you wrong, sweetheart? Was all that I said reassuring or...”
Hell, now I don’t know what to say as I stare down at her hands. They aren’t clenched the way she does when she’s nervous. I blink and her mouth is on mine, her hands in my hair pulling me down to her. Thank fucking god, she had been afraid to say what she was feeling because her kiss is full of longing and need. Feeling needy myself I let the kiss get out of control, until she’s straddling me moaning as she rides me.
Damn it, this is not the place, as the phone on the desk rings reminding me of where we are. Anne moans as my grip on her hips tighten and hold her in place, not allowing her to move. “Please, I need you right now. You can’t tell me everything I’ve wanted to hear since that first morning and not make love to me now.”
The words make love were a slip, it’s obvious in the way she goes still. Hearing her say it has me losing all control. My hand slips up around her throat, holding her in place. “You belong to me.” Liquid silver glows up at me. “Say it damn it, you belong to me.”
“I belong to you.” Her words slur as if she’s drunk off them.
“All of you, belongs to me.” I whisper against her lips, taking in her breath as she exhales. The air all around is us thick, heavy with desire.
“All of me belongs to you.” It’s a vow, this time each word is clear, solemn.
Record 1
The following is a DFT calculation (PBE) of a relaxed structure of NaTiGe2.

a b c (Å): 3.0401 3.0401 9.5115
angles (deg): 80.80 80.80 60.00
Last column: nearest neighbours and their distance in Å.
Positions (direct):
Na 0.5000 0.5000 0.5000  6 Na 3.04, 6 Ge 3.07
Ti 0.0000 0.0000 0.0000  6 Ge 2.78, 6 Ti 3.04
Ge 0.7435 0.7435 0.7696  3 Ti 2.78, 6 Ge 3.04, 3 Na 3.07
Ge 0.2565 0.2565 0.2304  3 Ti 2.78, 6 Ge 3.04, 3 Na 3.07

Properties
- energy above the most stable polymorph in this dataset (meV/atom) = 0
- total moment (μB/cell) = 0.00

***

Record 2
The following is a DFT calculation (PBE) of a relaxed structure of NaTi3Ge.

a b c (Å): 4.8634 4.8634 4.8634
angles (deg): 90.00 90.00 90.00
Last column: nearest neighbours and their distance in Å.
Positions (direct):
Ti 0.5000 0.0000 0.0000  2 Ge 2.43
Ti 0.0000 0.5000 0.0000  2 Ge 2.43
Ti 0.0000 0.0000 0.5000  2 Ge 2.43
Ge 0.0000 0.0000 0.0000  6 Ti 2.43
Na 0.5000 0.5000 0.5000  12 Ti 3.44

Properties
- energy above the most stable polymorph in this dataset (meV/atom) = 0
- total moment (μB/cell) = 0.00

***

Record 3
The following is a DFT calculation (PBE) of a relaxed structure of NaTiGe.

a b c (Å): 4.3432 4.3432 8.8230
angles (deg): 75.75 75.75 60.00
Last column: nearest neighbours and their distance in Å.
Positions (direct):
Ge 0.5987 0.5987 0.2039  4 Ti 2.63-2.65, 3 Na 2.93
Ge 0.4013 0.4013 0.7961  4 Ti 2.63-2.65, 3 Na 2.93
Ti 0.2970 0.2970 0.1089  4 Ge 2.63-2.65
Ti 0.7030 0.7030 0.8911  4 Ge 2.63-2.65
Na 0.8726 0.8726 0.3821  3 Ge 2.93, 3 Na 3.20
Na 0.1274 0.1274 0.6179  3 Ge 2.93, 3 Na 3.20

Properties
- total moment (μB/cell) = 1.84
- raw total energy (eV/atom) = -4.65

***

Record 4
The following is a DFT calculation (PBE) of a relaxed structure of Na2TiGe.

a b c (Å): 8.5576 8.5576 6.6148
angles (deg): 49.69 49.69 90.00
Last column: nearest neighbours and their distance in Å.
Positions (direct):
Na 0.3750 0.3366 0.7500  2 Na 2.75, 2 Ge 2.88
Na 0.6634 0.1250 0.2500  2 Na 2.75, 2 Ge 2.88
Na 0.0866 0.6250 0.2500  2 Na 2.75, 2 Ge 2.88
Na 0.8750 0.9134 0.7500  2 Na 2.75, 2 Ge 2.88
Ge 0.7500 0.2500 0.5000  2 Ti 2.67, 4 Na 2.88
Ge 0.0000 0.0000 0.0000  2 Ti 2.67, 4 Na 2.88
Ti 0.5000 0.5000 0.0000  2 Ge 2.67
Ti 0.2500 0.7500 0.5000  2 Ge 2.67

Properties
- total moment (μB/cell) = 4.00
- raw total energy (eV/atom) = -3.32

***

Record 5
The following is a DFT calculation (PBE) of a relaxed structure of NaTi2Ge4.

a b c (Å): 4.8047 4.8047 7.4273
angles (deg): 71.13 71.13 90.00
Last column: nearest neighbours and their distance in Å.
Positions (direct):
Ge 0.2041 0.2041 0.5917  1 Ti 2.62, 1 Na 2.70
Ge 0.5000 0.0000 0.0000  2 Na 2.40
Ge 0.0000 0.5000 0.0000  2 Na 2.40
Ge 0.7959 0.7959 0.4083  1 Ti 2.62, 1 Na 2.70
Ti 0.4026 0.4026 0.1948  1 Ti 2.57, 5 Ge 2.62-2.73
Ti 0.5974 0.5974 0.8052  1 Ti 2.57, 5 Ge 2.62-2.73
Na 0.0000 0.0000 0.0000  4 Ge 2.40

Properties
- total moment (μB/cell) = 0.00
- raw total energy (eV/atom) = -4.55

***

Record 6
“Never forget that.”
It’s enough, for now. All my tension eases, this time when I pick Anne up, she doesn’t protest. Setting her on her feet in front of me, she sways slightly when I let her go in order to stand. “I promised you a campus visit and I’m keeping it. If I don’t, I won’t be able make love to you in peace.”
Her frown turns into a glowing smile when I talk about making love to her. Soon, very soon, she’ll understand what the words really mean. “I don’t want you resenting me for not keeping my promise.”
Her deep breath is shaky. She only nods as she slips her hand in mine.
The next three and a half hours are torture. Anne doesn’t seem to be doing well enduring them either, at first. She asks questions, then has to ask them again a few times, it’s obvious she’s having a hard time concentrating. I wonder if I’ve cheated her out of the visit I intended her to have, until we get to the women’s health research building.
Her full attention is on every word the professor and student are saying during the tour. I’m surprised, after how she seemed uninterested in the other science and research programs. Anne takes several of the pamphlets, adding them to the ones she had already been given. It’s a good thing Connie had handed her a cloth tote bag with the logo of the university on it, as it’s filling rapidly.
Anne perks up during the history and English tour, asking questions and even taking notes on the handouts they give her. I don’t like the way the history professor is standing too close to her. I’ve been doing my best to hang back, chatting with Connie as she let the individual professors and students discuss the programs.
I’m about to take a step forward when Anne says something I can’t hear and the man smiles weakly before moving away from her. When she looks at me, her smile is one of reassurance. Once again I wonder how she doesn’t know, she could read me from across the room, yet she didn’t see our connection for what it is.
Her initial enthusiasm over the teaching course wanes quickly. Connie steps forward to reassure her there is a difference between teaching at a level below college or university. I hang back, to keep my promise not get involved until she wants me to. Anne doesn’t seem reassured in the slightest and we move on.
As we keep going, nothing interests Anne again until we get to the Weinberg College and she watches a photo shoot in progress. Her eyes are everywhere as she takes in the scene. Her conversation with the professor is animated, yet when she talks with the student her excitement fades.
Yet, she still seems interested in what the student is saying and they talk for long enough to make me antsy at the sight of them together. Especially at the way he’s staring at her breasts more often than he looks her in the eye. When he hands her a card, I’m done.
Anne slides her arm around my waist. “Kenny, this is Grant. Thank you for all the information, I’ll think about it and maybe give you a call.” Her hand goes up to my chest as I tense at her saying she’ll call him. Looking up at me, “I’m ready to go now. I think I’ve got all the information I came here for, and then some.”
Chapter Twelve
The car door closing sounds loud, bursting the hazy bubble I’ve been in for the last few hours. In the thirty seconds it takes Grant to round the car and get in beside me, I’ve come crashing down to earth. Once he’s in the car again, he sees it. His hands gentle, he pulls me into his lap. “Shhh... we’ll be home soon.”
I don’t bother to argue, I lay my head back on his chest. Closing my eyes I let the world fall away. The only thing I know is Grant is holding me tightly, as if he’s never going to let me go. It’s all I want to know. I feel the tension in Grant flow out of him and with it, my own. Somehow, I slip into the blackness of sleep in only minutes.
I’m roused from sleep by Grant’s soft murmurings, none of them I understand. I simply lean on him allowing him to guide me out of the limousine then through to the elevator.
It’s all coming back to me now. My admission about missing him when he wasn’t with me. Grant telling me he didn’t want to go by the agreement anymore, me asking him to make love to me. Grant promising he would be able to make love to me once his promise had been complete. If he didn’t want to go by the agreement anymore, where do we go from here? “Was she prettier than me? Did she suck your cock better than I do?”